Failing to label terrorists accurately can undermine both our understanding as well as our ability to combat it.
The term political correctness has been around a long time. It refers to language that seems intended to give the least amount of offence, especially when describing groups identified by external markers such as race, gender, culture or sexual orientation. It apparently dates back to the time just after the Russian Revolution of 1917.
Quantum chemistry results, as found in the file:
........
(1)
15
Properties=species:S:1:pos:R:3:nbo_charge:R:1 method="wB97M-V/def2-TZVPD" charge=+1 e_homo_ev=-14.9493 e_lumo_ev=-3.2 fmax_ev_per_a=1.3 gap_ev=11.720 e_above_lowest_ev=0.865
C 0.525 -0.635 -1.075 -0.069
C 1.603 -0.142 -0.523 -0.355
N -0.658 -0.948 -0.238 -0.713
H 0.399 -0.878 -2.113 0.235
H 2.445 0.163 -1.137 0.243
H 1.849 -0.141 0.531 0.235
H -0.386 -0.887 0.742 0.445
H -1.383 -0.200 -0.417 0.482
H -1.062 -1.855 -0.482 0.444
H 2.460 0.956 3.093 0.485
H 2.237 1.621 1.741 0.468
O 1.765 1.238 2.487 -0.946
H -3.373 0.617 -1.644 0.508
H -3.401 0.839 -0.144 0.503
O -3.021 0.252 -0.821 -0.966

=====

(2)
16
Properties=species:S:1:pos:R:3:nbo_charge:R:1 method="wB97M-V/def2-TZVPD" charge=-1 e_homo_ev=-2.8188 e_lumo_ev=3.5 fmax_ev_per_a=2.6 gap_ev=6.307 e_above_lowest_ev=1.271
C 0.325 0.346 0.685 -0.236
C 1.317 -0.834 0.436 -0.532
S 2.253 -1.210 1.971 -0.685
N 1.188 1.658 0.718 -0.887
H -0.327 0.319 1.569 0.184
H -0.281 0.443 -0.228 0.135
H 1.963 -0.399 -0.322 0.174
H 0.696 -1.673 -0.081 0.133
H 1.103 2.179 -0.199 0.332
H 2.109 1.247 0.898 0.383
H -1.970 1.312 0.111 0.490
H -1.630 1.769 -1.387 0.471
O -2.361 1.690 -0.743 -0.961
H -1.892 -2.047 -0.535 0.473
H -0.752 -2.399 -1.455 0.474
O -1.741 -2.402 -1.438 -0.948

=====

(3)
16
Properties=species:S:1:pos:R:3:nbo_charge:R:1 method="wB97M-V/def2-TZVPD" s_squared=0.758 charge=0 e_homo_ev="-10.3328 / -10.5387" multiplicity=2 e_lumo_ev="0.6 / -3.2" fmax_ev_per_a=4.6 gap_ev="10.905 / 7.310" e_above_lowest_ev=1.787
C -0.336 -0.627 -0.362 -0.093
O 0.703 -0.394 0.430 -0.494
C -1.574 0.530 -0.409 -0.165
N -1.327 1.748 -1.014 -0.779
H -0.185 -0.530 -1.510 0.212
H -0.880 -1.598 0.101 0.221
H -2.494 -0.104 -0.688 0.216
H -1.767 0.576 0.638 0.208
H -1.019 2.387 -0.332 0.372
H -0.404 1.791 -1.644 0.384
H 1.186 -3.349 0.541 0.458
H 1.094 -1.788 0.838 0.475
O 0.893 -2.712 1.229 -0.967
H 2.017 1.756 1.397 0.445
H 1.653 0.846 0.319 0.472
O 2.439 1.467 0.466 -0.965

=====

(4)
16
Properties=species:S:1:pos:R:3:nbo_charge:R:1 method="wB97M-V/def2-TZVPD" charge=+1 e_homo_ev=-14.7787 e_lumo_ev=-3.1 fmax_ev_per_a=3.6 gap_ev=11.650 e_above_lowest_ev=0.777
O 1.041 -1.517 2.280 -0.488
C 1.818 -1.500 1.374 0.421
C 1.433 -0.962 0.028 -0.339
N 0.075 -0.341 0.112 -0.697
H 2.878 -1.762 1.509 0.160
H 2.073 -0.093 -0.159 0.248
H 1.600 -1.566 -0.818 0.263
H -0.260 0.379 0.785 0.489
H -0.191 -0.104 -0.840 0.459
H -0.484 -1.133 0.448 0.436
H -1.702 1.439 -3.383 0.490
H -2.620 0.386 -2.770 0.485
O -1.715 0.716 -2.747 -0.972
H -1.648 2.526 0.903 0.517
H -1.182 1.770 2.121 0.500
O -1.115 1.761 1.156 -0.970

=====

(5)
16
Properties=species:S:1:pos:R:3:nbo_charge:R:1 method="wB97M-V/def2-TZVPD" charge=+1 e_homo_ev=-14.4922 e_lumo_ev=-3.1 fmax_ev_per_a=1.4 gap_ev=11.402 e_above_lowest_ev=0.116
O -2.384 0.474 0.812 -0.496
C -1.786 1.457 0.476 0.413
C -0.292 1.402 0.298 -0.345
N 0.204 0.069 0.707 -0.713
H -2.339 2.389 0.283 0.164
H 0.198 2.211 0.862 0.252
H -0.049 1.616 -0.744 0.259
H 1.234 -0.016 0.585 0.473
H -0.183 -0.623 0.010 0.481
........
Many have derided those who use the term, stating that it points to shallowness and an inability to face reality. Some have coined another neologism – snowflakes – to refer to those who are ‘too’ politically correct, ‘too’ easily offended, and ‘too’ soft in their demands for safe spaces, trigger warnings, preferred pronouns, and social justice.

I recognise that there is indeed always a need to consider language when talking about, well, talking about everything (NB I did teach linguistics at university for over a decade). We should not be dismissive when it comes to words and it is good idea to consider how others see what you are saying and how you are saying it in order for communication to continue. Why raise hackles when you don’t have to?
Still, there is also a concomitant need for accuracy. We must be able to use precise language to describe what we are facing in order to come up with strategies to deal with it. Yes, we must take sensitivities in mind – why would you offend some unnecessarily? – but words have meanings. You can’t just decide to change a word’s definition to suit your fancy. After all, we do not live in an Alice in Wonderland world where Humpty Dumpty can say “When I use a word it means just what I. choose it to mean-neither more nor less.”
Into this mix we have a decision by the Australian Security Intelligence Organisation (ASIO) to stop referring to “right-wing extremism” and “Islamic extremism” to talk about violent threats, saying the labels are “no longer fit for purpose”, adding that ASIO‘s language “needs to evolve to match the evolving threat environment”. In their place, they will use “ideologically motivated violent extremism (aka IMVE)” and “religiously motivated violent extremism“.
This is simply wrong.
The ASIO Director, Mike Burgess, claims that the term “Islamic extremism” can be seen by Muslim groups as “damaging” and “misrepresentative of Islam”, and one that stigmatises them by “encouraging stereotyping” and “stoking division”. For the record it is definitely true, and I have seen it, that some Muslims in the West have been on the receiving end of nasty insults, and even assaults, by those who erroneously sees them as linked to the terrorists who carried out 9/11.
We DID change after 9/11 in our use of language. We used to call this form of violent extremism ‘Sunni Islamic Terrorism’ but we altered this to ‘Islamist terrorism‘. Islamist is not the same term as ‘Islamic‘. It is a recognised and accepted term in security intelligence, law enforcement and even academic communities to refer to a particular kind of Islam that is purely political in nature (i.e. not solely religious).
To the neologism ‘Islamist‘ we added ‘terrorism‘ (or its synonym ‘violent extremism‘) to make it clear that we are talking about a small number of actors who like to kill and maim in the furtherance of their perverted interpretation of Islam. Side note: make no mistake, their ideology is intrinsically tied to Islam, just not a normative version of the faith.
What, then, is to be gained by calling this ‘religiously motivated violent extremism‘? Are all forms of this kind of violence the same? Are Hindu terrorists in India analogous to Sikh terrorists, or Jewish violent extremists or Christian ones? What about Buddhist terrorists (no, that is not an oxymoron!)? There may indeed be similarities but there are also crucial differences, the most important of which is the simple fact that Islamist terrorists carry out attacks on a scale that dwarfs by several orders of magnitude those executed by other ‘religious’ actors. These are NOT the same phenomenon! Heck, I even wrote a whole book on the topic!
I therefore conclude that this move by ASIO is ill-founded and counterproductive. I am actually quite surprised by it. In addition, my own former agency, CSIS, made a similar move a few years ago and it too was not a great idea. We simply cannot allow sensitivities to dictate to our security intelligence and law enforcement agencies what they do and how they refer to it. If policy wonks and civil servants want to use IMVE fine, just don’t tell practitioners how to do their jobs.
As Shakespeare may have said it he had been born after 9/11 “A terrorist by any other name would be as dangerous”. Enough with political correctness already!
Read More about Islamist Terrorism

Quick Hits Episode 206: when woke culture makes national security impossible
Woke and cancel culture are gaining ground on many fronts and may in fact be having a serious effect on our ability to ensure national security and public safety.
May 21, 2004: Bombing at Bangladeshi shrine
On May 21, 2004 a bomb injured the British High Commissioner to Bangladesh while he was visiting the Shah Jalal shrine, killing two.

May 7, 2018: Girls’ school bombing in Pakistan
On May 7, 2018 the Ittehadul Mujahideen North Waziristan bombed two girls’ schools in Pakistan and left pamphlets urging families not to send their children.